Contents
____________
(1)
DFT (PBE-GGA) results for an optimized crystal structure of Li7TmSn4.

The calculation puts the total DFT energy (no corrections) at -36.52 eV per formula unit. As for the total magnetic moment: 0.00 μB/atom. The calculation puts the calculated formation energy at -0.220 eV per atom. The value obtained for the volume is 21.59 Å³ per atom.

It has space group C2/m (No. 12), with a = 12.8882 Å, b = 4.9825 Å, c = 9.9075 Å, α = 90.00°, β = 125.46° and γ = 90.00°. The asymmetric unit holds Li at (0.0000, 0.0000, 0.0000), Li at (0.0758, 0.5000, 0.3743), Li at (0.1630, 0.0000, 0.5943), Li at (0.2132, 0.5000, 0.8743), Tm at (0.0000, 0.5000, 0.0000), Sn at (0.0715, 0.0000, 0.7958) and Sn at (0.1900, 0.0000, 0.3113).

---

(2)
DFT (PBE-GGA) results for an optimized crystal structure of PrCdAuO4.

The calculation puts the total DFT energy (no corrections) at -38.43 eV per formula unit. As for the total magnetic moment: 0.00 μB/atom. The value obtained for the volume is 16.72 Å³ per atom.

It has space group Imma (No. 74), with a = 6.4182 Å, b = 7.4280 Å, c = 9.8217 Å, α = 90.00°, β = 90.00° and γ = 90.00°. The asymmetric unit holds Pr at (0.0000, 0.0000, 0.0000), Cd at (0.0000, 0.2500, 0.3064), Au at (0.2500, 0.2500, 0.7500), O at (0.0000, 0.0762, 0.7556) and O at (0.2105, 0.2500, 0.0791).

---

> Number 2 is which compound?

PrCdAuO4

* * * * *

VASP calculation (GGA-PBE) on an optimized crystal structure of Ba2PrI.

Cell and atoms, written as extended XYZ:
```
4
Lattice="4.105 0.000 0.000 2.053 3.555 0.000 2.053 1.185 12.886" Properties=species:S:1:pos:R:3 pbc="T T T"
Pr 0.000 0.000 0.000
I 4.105 2.370 6.443
Ba 2.053 1.185 9.103
Ba 6.158 3.555 3.783
```

Symmetry: No. 166
Energy relative to the elements, uncorrected, eV/atom: -0.2899
Excess energy over the best structure of this formula in the dataset, meV per atom: 186
Volume, Å³/atom: 47.02

***

VASP calculation (GGA-PBE) on an optimized crystal structure of Ba2PrI6.

Cell and atoms, written as extended XYZ:
```
18
Lattice="-3.867 3.919 5.274 5.921 -3.145 6.678 6.412 9.009 -1.442" Properties=species:S:1:pos:R:3 pbc="T T T"
Ba 3.472 9.242 6.461
Ba 7.886 6.145 7.792
Ba 0.579 3.639 2.718
Ba 4.994 0.541 4.049
Pr 1.027 0.387 5.976
Pr 3.206 4.505 -0.721
I 3.812 2.523 10.662
I 4.310 6.178 8.262
I 6.734 9.634 7.665
I 2.159 7.063 3.807
I 4.649 10.483 3.284
I 1.985 3.403 5.992
I 4.653 7.261 -0.153
I 4.156 3.606 2.247
I 1.731 0.150 2.844
I 6.307 2.721 6.703
I 3.816 -0.700 7.225
I 6.481 6.380 4.517
```

Symmetry: No. 14
Energy relative to the elements, uncorrected, eV/atom: -1.5634
Volume, Å³/atom: 44.67

***

VASP calculation (GGA-PBE) on an optimized crystal structure of Ba2PrI.

Cell and atoms, written as extended XYZ:
```
4
Lattice="4.086 0.000 0.000 0.000 4.086 0.000 0.000 0.000 11.008" Properties=species:S:1:pos:R:3 pbc="T T T"
Pr 2.043 2.043 0.000
I 2.043 2.043 5.504
Ba 0.000 0.000 8.019
Ba 0.000 0.000 2.989
```

Symmetry: No. 123
Energy relative to the elements, uncorrected, eV/atom: -0.4757
Excess energy over the best structure of this formula in the dataset, meV per atom: 0
Volume, Å³/atom: 45.96

***

VASP calculation (GGA-PBE) on an optimized crystal structure of RbBa2PrI8.

Cell and atoms, written as extended XYZ:
```
12
Lattice="-5.821 -3.322 4.423 5.302 -3.247 4.493 -0.092 8.527 6.287" Properties=species:S:1:pos:R:3 pbc="T T T"
Rb -0.046 4.263 3.143
Ba -0.331 3.142 9.195
Ba -0.282 -1.185 6.008
Pr 0.000 0.000 0.000
I 3.163 -1.142 5.432
I 0.037 3.831 12.663
I -3.721 -1.768 6.172
I -3.775 3.100 9.771
I -0.649 -1.873 2.540
I 3.109 3.726 9.031
I 0.352 -0.222 9.241
I -0.964 2.179 5.961
```

Symmetry: No. 2
Energy relative to the elements, uncorrected, eV/atom: -1.5810
Volume, Å³/atom: 54.38
____________

Request
Now retype everything further above exactly.

Done
(1)
DFT (PBE-GGA) results for an optimized crystal structure of Li7TmSn4.

The calculation puts the total DFT energy (no corrections) at -36.52 eV per formula unit. As for the total magnetic moment: 0.00 μB/atom. The calculation puts the calculated formation energy at -0.220 eV per atom. The value obtained for the volume is 21.59 Å³ per atom.

It has space group C2/m (No. 12), with a = 12.8882 Å, b = 4.9825 Å, c = 9.9075 Å, α = 90.00°, β = 125.46° and γ = 90.00°. The asymmetric unit holds Li at (0.0000, 0.0000, 0.0000), Li at (0.0758, 0.5000, 0.3743), Li at (0.1630, 0.0000, 0.5943), Li at (0.2132, 0.5000, 0.8743), Tm at (0.0000, 0.5000, 0.0000), Sn at (0.0715, 0.0000, 0.7958) and Sn at (0.1900, 0.0000, 0.3113).

---

(2)
DFT (PBE-GGA) results for an optimized crystal structure of PrCdAuO4.

The calculation puts the total DFT energy (no corrections) at -38.43 eV per formula unit. As for the total magnetic moment: 0.00 μB/atom. The value obtained for the volume is 16.72 Å³ per atom.

It has space group Imma (No. 74), with a = 6.4182 Å, b = 7.4280 Å, c = 9.8217 Å, α = 90.00°, β = 90.00° and γ = 90.00°. The asymmetric unit holds Pr at (0.0000, 0.0000, 0.0000), Cd at (0.0000, 0.2500, 0.3064), Au at (0.2500, 0.2500, 0.7500), O at (0.0000, 0.0762, 0.7556) and O at (0.2105, 0.2500, 0.0791).

---

> Number 2 is which compound?

PrCdAuO4

* * * * *

VASP calculation (GGA-PBE) on an optimized crystal structure of Ba2PrI.

Cell and atoms, written as extended XYZ:
```
4
Lattice="4.105 0.000 0.000 2.053 3.555 0.000 2.053 1.185 12.886" Properties=species:S:1:pos:R:3 pbc="T T T"
Pr 0.000 0.000 0.000
I 4.105 2.370 6.443
Ba 2.053 1.185 9.103
Ba 6.158 3.555 3.783
```

Symmetry: No. 166
Energy relative to the elements, uncorrected, eV/atom: -0.2899
Excess energy over the best structure of this formula in the dataset, meV per atom: 186
Volume, Å³/atom: 47.02

***

VASP calculation (GGA-PBE) on an optimized crystal structure of Ba2PrI6.

Cell and atoms, written as extended XYZ:
```
18
Lattice="-3.867 3.919 5.274 5.921 -3.145 6.678 6.412 9.009 -1.442" Properties=species:S:1:pos:R:3 pbc="T T T"
Ba 3.472 9.242 6.461
Ba 7.886 6.145 7.792
Ba 0.579 3.639 2.718
Ba 4.994 0.541 4.049
Pr 1.027 0.387 5.976
Pr 3.206 4.505 -0.721
I 3.812 2.523 10.662
I 4.310 6.178 8.262
I 6.734 9.634 7.665
I 2.159 7.063 3.807
I 4.649 10.483 3.284
I 1.985 3.403 5.992
I 4.653 7.261 -0.153
I 4.156 3.606 2.247
I 1.731 0.150 2.844
I 6.307 2.721 6.703
I 3.816 -0.700 7.225
I 6.481 6.380 4.517
```

Symmetry: No. 14
Energy relative to the elements, uncorrected, eV/atom: -1.5634
Volume, Å³/atom: 44.67

***

VASP calculation (GGA-PBE) on an optimized crystal structure of Ba2PrI.

Cell and atoms, written as extended XYZ:
```
4
Lattice="4.086 0.000 0.000 0.000 4.086 0.000 0.000 0.000 11.008" Properties=species:S:1:pos:R:3 pbc="T T T"
Pr 2.043 2.043 0.000
I 2.043 2.043 5.504
Ba 0.000 0.000 8.019
Ba 0.000 0.000 2.989
```

Symmetry: No. 123
Energy relative to the elements, uncorrected, eV/atom: -0.4757
Excess energy over the best structure of this formula in the dataset, meV per atom: 0
Volume, Å³/atom: 45.96

***

VASP calculation (GGA-PBE) on an optimized crystal structure of RbBa2PrI8.

Cell and atoms, written as extended XYZ:
```
12
Lattice="-5.821 -3.322 4.423 5.302 -3.247 4.493 -0.092 8.527 6.287" Properties=species:S:1:pos:R:3 pbc="T T T"
Rb -0.046 4.263 3.143
Ba -0.331 3.142 9.195
Ba -0.282 -1.185 6.008
Pr 0.000 0.000 0.000
I 3.163 -1.142 5.432
I 0.037 3.831 12.663
I -3.721 -1.768 6.172
I -3.775 3.100 9.771
I -0.649 -1.873 2.540
I 3.109 3.726 9.031
I 0.352 -0.222 9.241
I -0.964 2.179 5.961
```

Symmetry: No. 2
Energy relative to the elements, uncorrected, eV/atom: -1.5810
Volume, Å³/atom: 54.38